Our most recent exhibition, Dazzle & Drab was a dramatic presentation of ocean liners during wartime. It was held at the Water Street Gallery at the Seamen’s Church Institute (241 Water Street, NY).
Almost immediately after Labor Day, the great load-in began. Curator Wayne Mazzotta and our dedicated corps of Ocean Liner Museum volunteers set about the painstaking task of unpacking, assembling and mounting every facet of the exhibition. Paintings, photographs, photo murals, models large and small, artifacts, mementoes and three-dimensional pieces were assembled, hung and organized into the correct chronological sequence.
Three of the most eagerly anticipated Dazzle & Drab components were three large ocean liner models from land-locked Minnesota, the work of amiable and talented Tim Leagjeld. He fabricated large models made of Styrofoam and paper and then painted them exquisitely. Finding ocean liner models that can be adorned with dazzle or gray paint for exhibition was not easy; understandably, owners are not anxious to have their precious ship models painted in wartime livery for one-time use.
Enter the extraordinary Mr. Leagjeld. By one of those incredibly fortuitous coincidences, Tim
submitted a photograph of his 12-foot Titanic model some months ago, posed afloat in a body of water near his house. (It weighs a total of 15 pounds!) Your Editor published that photograph on the back page of a recent Gazette and, in thanking Tim Leagjeld, inquired if he might possibly consider undertaking three models specifically for Dazzle & Drab. His response was instantaneous and exhilarating: Not only would he undertake the commission but he would accept no payment whatsoever, (italics mine). That kind of enthusiasm and generosity is incredibly heartening and very much appreciated.
The three models Leagjeld created were dazzle-painted Olympic, France II as a hospital ship and Queen Mary in a coat of gray.
All were to scale and were given a beautifully life-like and realistic look, occasionally streaked with rust.
The same three models were commemorated in another device especially created for the exhibition. It is the conception and invention of your Editor, housed in a case built by Michael Jedd. The models, sculpted by Maxtone-Graham, were beautifully painted by Wayne Mazzotta; Wayne also perfected the scenic effects of sky as well as the ocean groundrow.
-- Here the entry breaks off for calculated crystals --
-- begin --
No. 1
This record from Alexandria describes MnCuSeN2 after structural relaxation. The functional is PBE-GGA.

Properties
- symmetry = P4/mmm (123)
- energy above the most stable polymorph in this dataset (meV/atom) = 1126

a b c (Å): 3.9338 4.5090 3.9338
angles (deg): 90.00 90.00 90.00
Closest atoms and distances in Å follow each position.
Fractional coordinates of all 5 atoms:
Mn 0.5000 0.5000 0.5000  4 Cu 2.78, 8 N 2.99
Cu 0.0000 0.5000 0.0000  2 Se 2.25
Se 0.0000 0.0000 0.0000  4 N 1.97
N 0.0000 0.0000 0.5000  2 Se 1.97
N 0.5000 0.0000 0.0000  2 Se 1.97


No. 2
This record from Alexandria describes La2ZrNpN4 after structural relaxation. The functional is PBE-GGA.

Properties
- symmetry = P2/m (10)

a b c (Å): 3.4751 5.9704 6.2320
angles (deg): 108.26 90.00 90.00
Closest atoms and distances in Å follow each position.
Fractional coordinates of all 8 atoms:
La 0.5000 0.0000 0.5000  6 N 2.66
La 0.0000 0.5000 0.5000  6 N 2.66
Zr 0.0000 0.0000 0.0000  6 N 2.30-2.35
Np 0.5000 0.5000 0.0000  6 N 2.31-2.35
N 0.5000 0.2376 0.2038  1 Np 2.31, 2 Zr 2.35
N 0.5000 0.7624 0.7962  1 Np 2.31, 2 Zr 2.35
N 0.0000 0.2620 0.7964  1 Zr 2.30, 2 Np 2.35
N 0.0000 0.7380 0.2036  1 Zr 2.30, 2 Np 2.35


ΔE_f (raw)
In order: 1677 -1393
Unit: meV/atom

* * * * *

Density functional theory data (PBE) for a geometry-optimized Tm2MnOs structure.

Output
Volume = 89.4 Å³/cell
Relative energy among the computed polymorphs = 580.3 meV/atom
Energy of formation from the pure elements = 2.00 eV per formula unit
Magnetization = 3.5 μB/f.u.
Theoretical density = 10.83 g/cm3

Lattice parameters (Å, degrees): 3.210 3.210 10.186 80.93 80.93 60.00
Site moments in Bohr magnetons follow the coordinates.
-- stop --
A legend attached to the front of the free-standing box reads as follows: “WHAT THE GERMAN U-BOAT SKIPPER SAW OR THOUGHT HE SAW.” The box was free-standing and has on its front surface a large wheel as well as a padded viewing port, rather like the eyepiece of a submarine’s periscope.
That exterior wheel was shafted to an interior wheel which had, around its circumference, three models (Olympic, France II and Queen Mary) repeated twice, a total of six miniature profiles. The first shows the vessel’s peacetime profile at sea and the second, summoned into the “periscope” viewing port by cranking the outer wheel clockwise, brings into sight the same ocean liner disguised for war. The point is to demonstrate the efficacy of dazzle-paint as well as gray, to see how the same ship, camouflaged rather than in peacetime livery, tends to disappear, subject to the same sea and light conditions.
The only thing this invention lacked was an appropriate name! Suggestions were welcomed from those
who have caught a glimpse of it. To your Editor’s knowledge, it is the only device of its kind in the world, designed to evaluate the effects of wartime camouflage. Of course, France II painted as a hospital ship can scarcely be described as camouflage but it is at least the appearance several ocean liners were obliged to adopt during World War I.
The exhibit ended February 28th, 2002.